How to keep coyotes out of campsites and farms

Author: Virginia Floyd
Date Of Creation: 13 August 2021
Update Date: 1 July 2024
Make Your Property Predator Proof ~ Keeping Predators OUT !
Video: Make Your Property Predator Proof ~ Keeping Predators OUT !


Coyotes are highly intelligent, adventurous, and resourceful animals; indeed, they are so smart that they even learned to chase schoolchildren to throw their lunch bags! As the number of coyotes increases, they become more daring and adapt to our human environment, it is more difficult to scare them. Together with the emboldened coyotes beginning to move further and further from the forest into urban areas and campgrounds, we have a need and a duty to keep them away from built-up areas or those where human activity is taking place, in order to avoid harm to both humans and coyotes.


  1. 1 Use a fence. It is recommended that the fence is at least about 1.8 meters high and 30 cm dug into the ground. The width of the vertical spaces of such a fence should not exceed 10 cm. Since coyotes are very smart, sometimes they jump over, or dig under the fence. This happens very often on livestock farms, where the temptation is so great that a hungry coyote will do anything to get inside.
    • Barbed wire at ground level can stop a coyote from digging under a fence.
    • Yards and farms can be protected if they are surrounded by a high and deeply buried fence. Remember to keep your livestock behind a fence, or get your own guard when the livestock moves or feeds elsewhere.
    • More expensive fences have underground aprons and overhangs; they are used for feed yards, paddocks, shelter areas, closed areas and gathering places for the sake of economy.
    • An electric fence provides an excellent option at a reasonable price for fencing large areas of livestock farms.
    • Provide a safe haven for your livestock at night.
    • Llamas and donkeys can be used as guard animals to protect livestock. It is best to take a donkey or a castrated donkey; non-castrated ones can be too aggressive. If you have llamas or donkeys, make sure that they do not interact with other lamas or donkeys, otherwise they will neglect the herd. Multi-species grazing can provide protective benefits such as grazing sheep, goats and cattle together rather than separately.
  2. 2 Use sound. Sounds can have a profound effect on a coyote that has wandered into your yard or campground.
    • Try banging the bin lid or something else that makes noise and scares the coyote away.
    • Shout and make more noise in any way you can.
    • Motion sensors can be helpful. There is even a technically advanced anti-coyote audio system. This system is based on the fact that cougars sometimes kill coyotes. She mimics the sounds of a cougar and can ward off coyotes.
    • Propane detonators can be used to scare coyotes away from farms and ranches.
  3. 3 Use a negative boost on the element of surprise if a coyote happens to climb into your yard or campsite. In addition to footsteps, you can use other techniques when you spot a coyote in your area. Coyotes dislike unfamiliar cues and may initially be deterred by intimidation tactics. In any case, you should never make eye contact with the coyote, turn your back on it, or run away from it, as this will be perceived as a signal of aggression or a desire to chase and attack. If you want to leave, do it calmly, or try one of these intimidation tactics:
    • Hose the coyote with water.
    • Make your appearance hideous with noise and make as many movements as possible; swing your arms and legs. This will let them know that you are in charge and should be kept away from you.
    • Use toys that make noise, such as knocking, buzzing, ringing, etc.
    • Use traffic lights that turn on when the coyote crosses a certain area of ​​the yard. Lighting from dusk to dawn can keep coyotes from entering a lit area. There are also strobe lights with sirens that can scare off coyotes if used according to the manufacturer's instructions.
    • While a vehicle can temporarily restrain a coyote's behavior, especially if it moves a lot, it can also be used as cover (or blindness) before an attack, so be careful when using this method.
  4. 4 Eliminate food sources that coyotes love. Since they love meat (especially rodents), they are very unscrupulous eaters and can eat whatever they come across. Therefore, it is so important to make it impossible for them to find food in your neighborhood. First of all, never feed a coyote to try to tame it or help it; feeding will only reinforce his bad behavior and make him more cocky, so that he will come back without becoming tamed. Here are some ways to keep food sources with you in your backyard or campground:
    • Store all trash in coyote-resistant boxes or containers. Usually, if they are tightly closed and do not open easily, it will scare the coyote away. Contact your local authority if your local store cannot help you provide such a container.
    • Dispose of all food waste properly from home or camping. Also, the place of edible waste should be in a protected dustbin or safe compost bin. Don't leave food scraps all over the place.
    • Collect ripe fruits from your trees and clean up those that have fallen to the ground before they become the subject of a coyotes feast.
  5. 5 Keep pets away from coyotes. Cats, dogs, and other pets can attack, mate, or become potential prey. To protect your pets if you live in a coyote area or have your pets with you at the camping site, do the following:
    • Keep pets (cats and dogs) inside at night and monitor them during the day to prevent collisions and the possibility of them becoming the next coyote food or target.
    • Store pet food inside or away from where the coyote might wander. If you want your pets to eat outside, immediately remove the leftover food after the pet has finished eating.
    • Sterilize or neuter your dogs. When the dogs are ready to mate, the coyotes will try to mate with them.
    • Do not use your dog as a coyote guard unless it is trained to do so. Such a dog needs both education and training in order to be able to defend the livestock farm from the attacks of coyotes, otherwise it can become prey.
    • Cover fish ponds. Coyotes eat goldfish (ornamental carp) when they are defenseless.
    • Do not throw bird food around. Even if it doesn't look like food for coyotes, it will still attract them. Collect this feed after the birds have eaten, or use a different feeding method (when the food is high) for the birds.
  6. 6 Remove landfills from your property. They can serve as a hiding place for both predators and prey. Rabbits and other prey that coyotes like so much can use trash heaps to live and reproduce there, thereby attracting coyotes. Moreover, coyotes can hide behind these piles before attacking. Removing trash heaps has several other benefits, such as reducing habitat for snakes, poisonous insects, spiders or scorpions, while improving appearance.
    • Remove all sources of water in the yard or campground; they can attract coyotes.
  7. 7 Use wolf urine. The only natural and innovative response to the growing problem with coyotes is to use wolf urine as a deterrent. Wolves are one of those who hunt coyotes, and the population of coyotes begins to decline if wolves settle in the same area.
    • Another odor that can scare off coyotes is the smell of mothballs or a rag soaked in ammonia. Place them in strategic locations around your yard or campground.
  8. 8 If humane solutions do not help, then contact a professional. Many professional wildlife catchers use live traps so the coyote doesn't have to pay with his life to trespass. In any case, be aware that relocation is not considered effective, so it is much better to provide the barriers outlined above so that you can continue to live in harmony with the coyote population.

What comes next are calculated crystals, not part of the text
=====
(1)
## La4Bi4S8O3F (PBE)

Data for La4Bi4S8O3F after structural relaxation.

Results
- formation enthalpy at 0 K (eV/f.u.) = -42.59
- space group = I-42m (121)
- calculated total energy (eV/atom) = -6.06

Cell: 14.3266 14.3266 14.3266 Å, 156.75 156.75 33.12°
With the nearest neighbours (Å) after each atom.
Atoms (fractional coordinates):
La  0.2875  0.8091  0.0000  3 O 2.36-2.44, 1 F 2.51
La  0.8091  0.2875  0.0000  3 O 2.36-2.44, 1 F 2.51
La  0.1909  0.1909  0.4784  3 O 2.36-2.44, 1 F 2.51
La  0.7125  0.7125  0.5216  3 O 2.36-2.44, 1 F 2.51
Bi  0.4380  0.4380  0.5004  5 S 2.59-2.89
Bi  0.9376  0.9376  0.4996  5 S 2.59-2.89
Bi  0.0624  0.5620  0.0000  5 S 2.59-2.89
Bi  0.5620  0.0624  0.0000  5 S 2.59-2.89
S  0.4405  0.9412  0.0000  4 Bi 2.89
S  0.9412  0.4405  0.0000  4 Bi 2.89
S  0.0588  0.0588  0.4992  4 Bi 2.89
S  0.5595  0.5595  0.5008  4 Bi 2.89
S  0.3449  0.3449  0.5025  1 Bi 2.59
S  0.8424  0.8424  0.4975  1 Bi 2.59
S  0.1576  0.6551  0.0000  1 Bi 2.59
S  0.6551  0.1576  0.0000  1 Bi 2.59
O  0.0000  0.0000  0.0000  4 La 2.36
O  0.0000  0.5000  0.5000  4 La 2.44
O  0.5000  0.0000  0.5000  4 La 2.44
F  0.5000  0.5000  0.0000  4 La 2.51

(2)
## Na9NbZn5Si3S6O36 (PBE)

Data for Na9NbZn5Si3S6O36 after structural relaxation.

Results
- formation enthalpy at 0 K (eV/f.u.) = -132.22
- space group = Cc (9)
- calculated total energy (eV/atom) = -5.92

Cell: 9.1129 9.0392 22.3228 Å, 89.92 90.00 120.27°
With the nearest neighbours (Å) after each atom.
Atoms (fractional coordinates):
Na  0.6457  0.0088  0.2391  4 O 2.34-2.54
Na  0.3780  0.3487  0.2486  5 O 2.44-2.71
Na  0.9938  0.6489  0.2443  6 O 2.42-2.69
Na  0.6551  0.6489  0.7443  6 O 2.42-2.69
Na  0.9707  0.3487  0.7486  5 O 2.44-2.71
Na  0.3631  0.0088  0.7391  4 O 2.34-2.54
Na  0.2973  0.3326  0.5773  5 O 2.36-2.51
Na  0.0352  0.3326  0.0773  5 O 2.36-2.51
Na  0.9584  0.6604  0.9133  5 O 2.40-2.58
Na  0.7179  0.0459  0.9123  5 O 2.32-2.53
Na  0.3280  0.0459  0.4123  5 O 2.32-2.53
Na  0.7020  0.6604  0.4133  5 O 2.40-2.58
Na  0.9989  0.0144  0.5008  5 O 2.40-2.64
Na  0.0155  0.0144  0.0008  5 O 2.40-2.64
Na  0.6768  0.3338  0.8318  6 O 2.43-2.72
Na  0.6571  0.3338  0.3318  6 O 2.43-2.72
Na  0.3521  0.6912  0.1556  3 O 2.31-2.46
Na  0.3390  0.6912  0.6556  3 O 2.31-2.46
Nb  0.3423  0.6635  0.3149  5 O 1.90-2.08
Nb  0.3211  0.6635  0.8149  5 O 1.90-2.08
Zn  0.0207  0.0075  0.3450  4 O 1.96-2.13
Zn  0.9868  0.0075  0.8450  4 O 1.96-2.13
Zn  0.9684  0.9592  0.6563  3 O 1.92-2.10
Zn  0.9908  0.9592  0.1563  3 O 1.92-2.10
Zn  0.6857  0.3350  0.6819  5 O 2.02-2.20
Zn  0.6493  0.3350  0.1819  5 O 2.02-2.20
Zn  0.6762  0.3359  0.9852  5 O 2.04-2.27
Zn  0.6597  0.3359  0.4852  5 O 2.04-2.27
Zn  0.3305  0.6533  0.0147  4 O 1.92-2.15
Zn  0.3228  0.6533  0.5147  4 O 1.92-2.15
Si  0.3008  0.0013  0.2509  4 O 1.61-1.70
Si  0.7148  0.7125  0.2533  4 O 1.62-1.72
Si  0.9977  0.7125  0.7533  4 O 1.62-1.72
Si  0.7006  0.0013  0.7509  4 O 1.61-1.70
Si  0.0330  0.3591  0.9226  4 O 1.60-1.73
=====


  • Teach your children to respect wildlife by keeping your distance from it. Always keep an eye on the whereabouts of your children if there are coyotes around.
  • When camping, follow all instructions provided by the gamekeeper or other person in charge of the camp, and treat coyotes in the area with respect. Do not feed or encourage them under any circumstances. Be sure to remove all food or anything that smells good, including makeup. The same actions are successfully applied to protect campsites from bears.


  • Coyotes are shy animals, but if provoked or they feel threatened, they will attack. Always keep your distance and remember that these are wild animals. Teach children to be respectful and careful.
  • Coyotes break down wire mesh easily. Do not use them as a barrier, keep animals only in within a barrier that works effectively.
  • Learn the rules for coyote protection in your area. In some states and areas it is illegal to kill them, while others have strict seasonal or hunting requirements.

What do you need

Between two parts of the article: materials data:
=====
A plane-wave DFT calculation with GGA-PBE was carried out for a relaxed structure of GaNi.

As for the total energy: -4.769 eV per atom.

It has space group Pm-3m (No. 221), with a = 2.9136 Å, b = 2.9136 Å, c = 2.9136 Å, α = 90.00°, β = 90.00° and γ = 90.00°. The asymmetric unit holds Ga at (0.0000, 0.0000, 0.0000) and Ni at (0.5000, 0.5000, 0.5000).

----------

[1]
# Li3MnVP3O12 | Materials Project | PBE+U | optimized geometry
# DFT total energy (Ha/atom): -0.2571
# Space group: C2/c (15)
# Formation energy from the elements (eV/atom): -2.5967
# Offset from the most stable computed form (meV per atom): 58.7
# V (A^3/atom): 10.4
data_Li3MnVP3O12
_chemical_formula_sum 'Li12 Mn4 V4 P12 O48'
_space_group_name_H-M_alt 'P 1'
_space_group_IT_number 1
_space_group_name_Hall 'P 1'
_cell_length_a 10.3112
_cell_length_b 10.3112
_cell_length_c 10.0792
_cell_angle_alpha 109.17
_cell_angle_beta 109.17
_cell_angle_gamma 108.98
loop_
_atom_site_label
_atom_site_type_symbol
_atom_site_fract_x
_atom_site_fract_y
_atom_site_fract_z
_atom_site_occupancy
Li1 Li 0.1169 0.8831 0.7500 1
Li2 Li 0.1218 0.2442 0.8726 1
Li3 Li 0.2442 0.1218 0.3726 1
Li4 Li 0.2519 0.6215 0.8826 1
Li5 Li 0.3631 0.6369 0.2500 1
Li6 Li 0.3785 0.7481 0.6174 1
Li7 Li 0.6215 0.2519 0.3826 1
Li8 Li 0.6369 0.3631 0.7500 1
Li9 Li 0.7481 0.3785 0.1174 1
Li10 Li 0.7558 0.8782 0.6274 1
Li11 Li 0.8782 0.7558 0.1274 1
Li12 Li 0.8831 0.1169 0.2500 1
Mn1 Mn 0.0000 0.0000 0.0000 1
Mn2 Mn 0.0000 0.0000 0.5000 1
Mn3 Mn 0.0000 0.5000 0.0000 1
Mn4 Mn 0.5000 0.0000 0.5000 1
V1 V 0.0000 0.5000 0.5000 1
V2 V 0.5000 0.0000 0.0000 1
V3 V 0.5000 0.5000 0.0000 1
V4 V 0.5000 0.5000 0.5000 1
P1 P 0.1243 0.7431 0.3701 1
P2 P 0.1269 0.3772 0.2520 1
P3 P 0.2486 0.3775 0.6241 1
P4 P 0.2569 0.8757 0.1299 1
P5 P 0.3772 0.1269 0.7520 1
P6 P 0.3775 0.2486 0.1241 1
P7 P 0.6225 0.7514 0.8759 1
P8 P 0.6228 0.8731 0.2480 1
P9 P 0.7431 0.1243 0.8701 1
P10 P 0.7514 0.6225 0.3759 1
P11 P 0.8731 0.6228 0.7480 1
P12 P 0.8757 0.2569 0.6299 1
O1 O 0.0024 0.6086 0.7008 1
O2 O 0.0067 0.3961 0.8041 1
O3 O 0.0916 0.8791 0.3777 1
O4 O 0.0930 0.2097 0.2156 1
O5 O 0.1087 0.6970 0.5022 1
O6 O 0.1111 0.4068 0.1058 1
O7 O 0.1161 0.2108 0.4952 1
O8 O 0.1209 0.9084 0.1223 1
O9 O 0.2017 0.5082 0.6155 1
O10 O 0.2097 0.0930 0.7156 1
O11 O 0.2108 0.1161 0.9952 1
O12 O 0.2217 0.7065 0.0929 1
O13 O 0.2921 0.4157 0.8011 1
O14 O 0.2935 0.7783 0.4071 1
O15 O 0.2972 0.5059 0.3863 1
O16 O 0.3030 0.8913 0.9978 1
O17 O 0.3901 0.3913 0.5931 1
O18 O 0.3913 0.3901 0.0931 1
O19 O 0.3914 0.9976 0.7992 1
O20 O 0.3961 0.0067 0.3041 1
O21 O 0.4068 0.1111 0.6058 1
O22 O 0.4157 0.2921 0.3011 1
O23 O 0.4918 0.7983 0.8845 1
O24 O 0.4941 0.7028 0.1137 1
O25 O 0.5059 0.2972 0.8863 1
O26 O 0.5082 0.2017 0.1155 1
O27 O 0.5843 0.7079 0.6989 1
O28 O 0.5932 0.8889 0.3942 1
O29 O 0.6039 0.9933 0.6959 1
O30 O 0.6086 0.0024 0.2008 1
O31 O 0.6087 0.6099 0.9069 1
O32 O 0.6099 0.6087 0.4069 1
O33 O 0.6970 0.1087 0.0022 1
O34 O 0.7028 0.4941 0.6137 1
O35 O 0.7065 0.2217 0.5929 1
=====

  • Fence
  • Repulsive odors, light, noise
  • Animal watchdog